Listing:
____________
Entry from Alexandria: an optimized crystal structure of CuSi2Rh (PBE-GGA).

space-group type = Pmm2 (25)
crystal system = orthorhombic
ρ = 6954 kg/m³
DOS(E_F) = 0.3897 states/eV per atom
ΔE_f (raw) = -280 meV/atom
final energy = -23.413 eV for the cell shown

Unit cell a=4.4397 b=2.8638 c=4.1814 alpha=89.98 beta=90.00 gamma=90.00
Positions (direct):
Cu 0.0000 0.3748 0.4988
Si 0.0000 0.8747 0.0121
Si 0.5000 0.3752 0.2362
Rh 0.5000 0.8753 0.7529

***

Entry from Alexandria: an optimized crystal structure of BePt4Rh (PBE-GGA).

space-group type = F-43m (216)
crystal system = cubic
energy of formation from the pure elements = 2.10 eV per formula unit
ρ = 14987 kg/m³
DOS(E_F) = 0.9494 states/eV per atom
final energy = -33.145 eV for the cell shown

Unit cell a=5.1902 b=5.1902 c=5.1902 alpha=60.00 beta=60.00 gamma=60.00
Each line ends with the local moment (μB).
Positions (direct):
Pt 0.6250 0.1251 0.6250  0.05
Pt 0.6250 0.6250 0.1251  0.05
Pt 0.1251 0.6250 0.6250  0.05
Pt 0.6250 0.6250 0.6250  0.05
Rh 0.2500 0.2500 0.2500  0.81
Be 0.0000 0.0000 0.0000  -0.01

***

Entry from Alexandria: an optimized crystal structure of AlHgBr (PBE-GGA).

space-group type = P3m1 (156)
crystal system = trigonal
ρ = 5506 kg/m³
polymorph energy (0 for the lowest one) = 0.0000 eV/atom
DOS(E_F) = 0.0508 states/eV per atom
ΔE_f (raw) = -165 meV/atom
final energy = -6.213 eV for the cell shown

Unit cell a=4.3301 b=4.3301 c=5.7112 alpha=90.00 beta=90.00 gamma=120.00
Positions (direct):
Hg 0.3333 0.6667 0.7450
Al 0.0000 0.0000 0.0021
Br 0.6667 0.3333 0.2529

***

Entry from Alexandria: an optimized crystal structure of TiVZn2 (PBE-GGA).

space-group type = P4/mmm (123)
crystal system = tetragonal
energy of formation from the pure elements = -0.32 eV per formula unit
ρ = 6558 kg/m³
polymorph energy (0 for the lowest one) = 0.0000 eV/atom
DOS(E_F) = 0.7597 states/eV per atom
final energy = -19.885 eV for the cell shown

Unit cell a=3.9118 b=3.8555 c=3.8555 alpha=90.00 beta=90.00 gamma=90.00
Positions (direct):
Zn 0.0000 0.0000 0.5000
Zn 0.0000 0.5000 0.0000
V 0.5000 0.5000 0.5000
Ti 0.5000 0.0000 0.0000

----------

No. 1
Below is La4SiPt after structural relaxation, with properties calculated at the PBE level.

Computed properties:
**VASP energy**: -4.878 eV/atom
**Density of states at the Fermi level**: 1.288 states/eV per atom
**Crystal system**: cubic

Lattice parameters (Å, degrees): 6.2117 6.2117 6.2117 60.00 60.00 60.00
Atoms (fractional coordinates):
1 La 0.8773 0.3742 0.3742
2 La 0.3742 0.3742 0.8773
3 La 0.3742 0.8773 0.3742
4 La 0.3742 0.3742 0.3742
5 Si 0.0000 0.0000 0.0000
6 Pt 0.7500 0.7500 0.7500


No. 2
Below is Dy4PaSb5 after structural relaxation, with properties calculated at the PBE level.

Computed properties:
**VASP energy**: -5.848 eV/atom
**Density of states at the Fermi level**: 0.664 states/eV per atom
**Crystal system**: tetragonal

Lattice parameters (Å, degrees): 6.1979 7.5825 7.5825 80.38 65.88 65.88
Atoms (fractional coordinates):
1 Dy 0.4014 0.4009 0.7982
2 Dy 0.8023 0.7982 0.5991
3 Dy 0.1997 0.2018 0.4009
4 Dy 0.6005 0.5991 0.2018
5 Pa 0.0012 0.0000 0.0000
6 Sb 0.9019 0.3973 0.8010
7 Sb 0.2992 0.8010 0.6027
8 Sb 0.7028 0.1990 0.3973
9 Sb 0.1001 0.6027 0.1990
10 Sb 0.5012 0.0000 0.0000


No. 3
Below is CaZn3GaCu after structural relaxation, with properties calculated at the PBE level.

Computed properties:
**VASP energy**: -2.213 eV/atom
**Density of states at the Fermi level**: 0.266 states/eV per atom
**Crystal system**: orthorhombic
**Formation enthalpy at 0 K**: -0.0553 eV per atom

Lattice parameters (Å, degrees): 5.6065 6.3800 7.1255 116.60 90.00 90.00
Atoms (fractional coordinates):
1 Ca 0.7500 0.2938 0.5877
2 Ca 0.2500 0.7062 0.4123
3 Zn 0.2500 0.1492 0.2983
4 Zn 0.0000 0.3059 0.0000
5 Zn 0.5000 0.6941 0.0000
6 Zn 0.5000 0.3059 0.0000
7 Zn 0.0000 0.6941 0.0000
8 Zn 0.7500 0.8508 0.7017
9 Ga 0.2500 0.9300 0.8600
10 Ga 0.7500 0.0700 0.1400
11 Cu 0.2500 0.3518 0.7036
12 Cu 0.7500 0.6482 0.2964


No. 4
____________

Exercise:
Please transcribe everything further up without additions.

Here it is:
Entry from Alexandria: an optimized crystal structure of CuSi2Rh (PBE-GGA).

space-group type = Pmm2 (25)
crystal system = orthorhombic
ρ = 6954 kg/m³
DOS(E_F) = 0.3897 states/eV per atom
ΔE_f (raw) = -280 meV/atom
final energy = -23.413 eV for the cell shown

Unit cell a=4.4397 b=2.8638 c=4.1814 alpha=89.98 beta=90.00 gamma=90.00
Positions (direct):
Cu 0.0000 0.3748 0.4988
Si 0.0000 0.8747 0.0121
Si 0.5000 0.3752 0.2362
Rh 0.5000 0.8753 0.7529

***

Entry from Alexandria: an optimized crystal structure of BePt4Rh (PBE-GGA).

space-group type = F-43m (216)
crystal system = cubic
energy of formation from the pure elements = 2.10 eV per formula unit
ρ = 14987 kg/m³
DOS(E_F) = 0.9494 states/eV per atom
final energy = -33.145 eV for the cell shown

Unit cell a=5.1902 b=5.1902 c=5.1902 alpha=60.00 beta=60.00 gamma=60.00
Each line ends with the local moment (μB).
Positions (direct):
Pt 0.6250 0.1251 0.6250  0.05
Pt 0.6250 0.6250 0.1251  0.05
Pt 0.1251 0.6250 0.6250  0.05
Pt 0.6250 0.6250 0.6250  0.05
Rh 0.2500 0.2500 0.2500  0.81
Be 0.0000 0.0000 0.0000  -0.01

***

Entry from Alexandria: an optimized crystal structure of AlHgBr (PBE-GGA).

space-group type = P3m1 (156)
crystal system = trigonal
ρ = 5506 kg/m³
polymorph energy (0 for the lowest one) = 0.0000 eV/atom
DOS(E_F) = 0.0508 states/eV per atom
ΔE_f (raw) = -165 meV/atom
final energy = -6.213 eV for the cell shown

Unit cell a=4.3301 b=4.3301 c=5.7112 alpha=90.00 beta=90.00 gamma=120.00
Positions (direct):
Hg 0.3333 0.6667 0.7450
Al 0.0000 0.0000 0.0021
Br 0.6667 0.3333 0.2529

***

Entry from Alexandria: an optimized crystal structure of TiVZn2 (PBE-GGA).

space-group type = P4/mmm (123)
crystal system = tetragonal
energy of formation from the pure elements = -0.32 eV per formula unit
ρ = 6558 kg/m³
polymorph energy (0 for the lowest one) = 0.0000 eV/atom
DOS(E_F) = 0.7597 states/eV per atom
final energy = -19.885 eV for the cell shown

Unit cell a=3.9118 b=3.8555 c=3.8555 alpha=90.00 beta=90.00 gamma=90.00
Positions (direct):
Zn 0.0000 0.0000 0.5000
Zn 0.0000 0.5000 0.0000
V 0.5000 0.5000 0.5000
Ti 0.5000 0.0000 0.0000

----------

No. 1
Below is La4SiPt after structural relaxation, with properties calculated at the PBE level.

Computed properties:
**VASP energy**: -4.878 eV/atom
**Density of states at the Fermi level**: 1.288 states/eV per atom
**Crystal system**: cubic

Lattice parameters (Å, degrees): 6.2117 6.2117 6.2117 60.00 60.00 60.00
Atoms (fractional coordinates):
1 La 0.8773 0.3742 0.3742
2 La 0.3742 0.3742 0.8773
3 La 0.3742 0.8773 0.3742
4 La 0.3742 0.3742 0.3742
5 Si 0.0000 0.0000 0.0000
6 Pt 0.7500 0.7500 0.7500


No. 2
Below is Dy4PaSb5 after structural relaxation, with properties calculated at the PBE level.

Computed properties:
**VASP energy**: -5.848 eV/atom
**Density of states at the Fermi level**: 0.664 states/eV per atom
**Crystal system**: tetragonal

Lattice parameters (Å, degrees): 6.1979 7.5825 7.5825 80.38 65.88 65.88
Atoms (fractional coordinates):
1 Dy 0.4014 0.4009 0.7982
2 Dy 0.8023 0.7982 0.5991
3 Dy 0.1997 0.2018 0.4009
4 Dy 0.6005 0.5991 0.2018
5 Pa 0.0012 0.0000 0.0000
6 Sb 0.9019 0.3973 0.8010
7 Sb 0.2992 0.8010 0.6027
8 Sb 0.7028 0.1990 0.3973
9 Sb 0.1001 0.6027 0.1990
10 Sb 0.5012 0.0000 0.0000


No. 3
Below is CaZn3GaCu after structural relaxation, with properties calculated at the PBE level.

Computed properties:
**VASP energy**: -2.213 eV/atom
**Density of states at the Fermi level**: 0.266 states/eV per atom
**Crystal system**: orthorhombic
**Formation enthalpy at 0 K**: -0.0553 eV per atom

Lattice parameters (Å, degrees): 5.6065 6.3800 7.1255 116.60 90.00 90.00
Atoms (fractional coordinates):
1 Ca 0.7500 0.2938 0.5877
2 Ca 0.2500 0.7062 0.4123
3 Zn 0.2500 0.1492 0.2983
4 Zn 0.0000 0.3059 0.0000
5 Zn 0.5000 0.6941 0.0000
6 Zn 0.5000 0.3059 0.0000
7 Zn 0.0000 0.6941 0.0000
8 Zn 0.7500 0.8508 0.7017
9 Ga 0.2500 0.9300 0.8600
10 Ga 0.7500 0.0700 0.1400
11 Cu 0.2500 0.3518 0.7036
12 Cu 0.7500 0.6482 0.2964


No. 4